Hoover WindTunnel Air Bagless Upright {Review} Presto 2-in-1 Cordless Stick Vacuum {Giveaway}

I knew when we put hardwood floors throughout the whole house it meant a lot more floor cleaning. Not that they get dirtier faster but they just show it. There is something about the corners that just a day later can make your floors look like you haven't cleaned them in days. Having a cute little baby that's about to have his little hands all over those floors I want a vacuum I can pull out … [Read more...]

Action Shot POV Camera {Review & Giveaway}

Finding something that impresses Johnny these days is hard. He has less time for actual toys and is more into his hobbies. Finding things to make those hobbies more enjoyable is always a bonus. When I was introduced to the Action Shot Camera. Capture and share the action anywhere, with the Action Shot POV Camera! Attach to your helmet, bike, skateboard and more with the easy Click & Grip™ … [Read more...]

Contours® Options® 3-Wheeler Stroller {Review & Giveaway}

I have had such a great year learning so much about the Contours Baby team and products. Being a Contours Mom I was able to visit the brand in Chicago this year and learned so much about them. They take so much into consideration when making these productsfor our most precious little people. A third generation family that I'm definitely to proud to have represented at BlogHer12. Through the … [Read more...]

McCormick Gourmet Recipe Mixes {Review & Giveaway}

I love cooking a good dinner from scratch for my family. What I don't like is when it becomes a time consuming task and I end up needing all these ingredients like spices and herb that I don't have on hand. Being a new recipe I don't really want to make the investment for all the spices separately so now that McCormick is coming out with these little packets I'm loving it. Now- it gets even … [Read more...]

Where’s Waldo Dog Costume and Childs Ghostbuster all from BuyCostumes.com

I'm such a procrastinator lately it's horrible. One thing I've learned now is that Halloween Costumes fly off shelves. Who knew? Well, now I'm telling you. It's also a lot harder to find specific items when your kids already know what they want in advance. Gavin, for instance, likes to do his own thing. He just loved this Ghostbuster Child Costume the moment he saw it.  I ain't afraid of no … [Read more...]

Be Prepared for an Emergency! $78 Energizer Giveaway!

____________
The molecule C26H29N5O7 at a distorted geometry, computed with ωB97M-V with the def2-TZVPD basis set.

Results
2S+1   1
Strongest force on any atom   1.07 eV/A
HOMO-LUMO gap   7.50 eV
SMILES string   CCOC(=O)N1CCN(C(=O)CNC(=O)c2nn(-c3ccc(OC)c(OC)c3)c(=O)c3ccccc23)CC1

Element x y z (Å)
C (0.01665, 2.82185, -2.23763)
C (0.49029, 1.38550, -2.12283)
O (1.82878, 1.39988, -1.62228)
C (2.45943, 0.21487, -1.61002)
O (1.96479, -0.82106, -1.98851)
N (3.74809, 0.31914, -1.17743)
C (4.25643, 1.48329, -0.48252)
C (4.63901, 1.06745, 0.95964)
N (3.86858, -0.10165, 1.31968)
C (2.58865, -0.07263, 1.76098)
O (1.89723, -1.07294, 1.81421)
C (2.02653, 1.25560, 2.26780)
N (0.60042, 1.23691, 2.06559)
C (-0.00583, 2.20558, 1.34808)
O (0.53078, 3.26963, 1.08491)
C (-1.38334, 1.84021, 0.90459)
N (-1.60193, 0.56424, 0.83116)
N (-2.73687, 0.06331, 0.37000)
C (-2.76785, -1.35574, 0.31779)
C (-3.93728, -2.06867, 0.52564)
C (-3.89177, -3.44627, 0.46546)
C (-2.71391, -4.14566, 0.21755)
O (-2.86996, -5.49702, 0.19376)
C (-1.79321, -6.36361, -0.08596)
C (-1.52037, -3.41558, 0.03011)
O (-0.36360, -4.10135, -0.19455)
C (0.84815, -3.38025, -0.29128)
C (-1.57411, -2.03049, 0.07958)
C (-3.79114, 0.84073, -0.11735)
O (-4.78310, 0.34049, -0.60835)
C (-3.57732, 2.28493, -0.00012)
C (-4.59261, 3.15082, -0.41191)
C (-4.41815, 4.51231, -0.31717)
C (-3.22684, 5.02992, 0.19016)
C (-2.21356, 4.19353, 0.59862)
C (-2.37089, 2.80546, 0.50380)
C (4.31059, -1.27711, 0.58816)
C (4.48095, -0.89757, -0.90342)
H (0.60448, 3.35310, -2.98126)
H (-1.02936, 2.83925, -2.53051)
H (0.12926, 3.32540, -1.28100)
H (-0.13696, 0.81388, -1.42951)
H (0.47870, 0.87407, -3.09141)
H (5.13347, 1.86992, -1.01281)
H (3.48110, 2.24851, -0.48243)
H (4.48135, 1.88033, 1.66533)
H (5.69327, 0.78101, 1.00722)
H (2.40737, 2.12968, 1.73731)
H (2.26468, 1.34652, 3.33577)
H (0.15756, 0.32518, 2.10512)
H (-4.86808, -1.56642, 0.72208)
H (-4.78641, -4.02846, 0.61672)
H (-1.01155, -6.29662, 0.67327)
H (-1.35961, -6.16628, -1.06809)
H (-2.22704, -7.36376, -0.07392)
H (0.86584, -2.72052, -1.16259)
H (1.61935, -4.14172, -0.40349)
H (1.03738, -2.79735, 0.61359)
H (-0.67682, -1.45342, -0.06829)
H (-5.50353, 2.71864, -0.79731)
H (-5.20363, 5.18227, -0.63329)
H (-3.09919, 6.09983, 0.26377)
H (-1.28920, 4.59115, 0.98465)
H (3.54502, -2.04373, 0.71001)
H (5.25294, -1.63562, 1.01134)
H (5.53135, -0.72041, -1.14834)
H (4.08653, -1.68250, -1.54787)
____________
**The article goes on**

When it comes to being prepared I'm all for it. Especially in times of weather. One thing I've learned in my life it's that while many things can be controlled- weather is not one of them. I do believe that by doing just a few basic things in advance can really help make the hard times when the storms hit more bearable. Of course many like to point out that you never really know if you are going … [Read more...]

Chuggington’s Wooden Train Set – Brewster’s Icy Escapade {Review & Giveaway}

Honk your horns theirs a new track in stores just in time for the holidays! It's the Brewster’s Icy Escapade from Chuggington and its the perfect track to get your child started or to add on to their current collection of wooden track! I love the bright colors of Chuggington and I love all the fun characters they have. Of course they make sure to bring the fun of Chuggington over in their fun … [Read more...]

Capture Holiday Memories With Shutterfly! $50 Giveaway!

Many are in shock about how early all the Christmas stuff is coming this year. We already see the commercials and here I am on the subject myself but I am so excited. I love this time of year and I love all the decorating and family time involved around the holidays. I love so much about it. The moment fall rolls around I hit the basement and pull out the decor. Once the house is all put together … [Read more...]

Juno Lucina 14K Diamond Necklace {Review & Giveaway}

Being pregnant was one of the best moments in my life, and now having my daughter here is even more amazing. My first time being pregnant and I was happy as could be. Those memories will live with me forever and are irreplaceable. Wouldn't it be nice to have something that would remind you of those moments that you will treasure for the rest of your life? Something that you could look at and just … [Read more...]